(File)
____________
No. 1
Computed, not measured: a relaxed CsGe crystal at the GGA-PBE level of DFT.

Summary:
Calculated formation energy, eV/atom: -0.1920
Polymorph energy (0 for the lowest one), meV/atom: 20

Cell: 12.624 12.624 12.624 Å, 124.67 124.67 82.09°
Fractional coordinates of all 32 atoms:
Cs: 0.005 0.255 0.511
Cs: 0.109 0.750 0.859
Cs: 0.245 0.495 0.989
Cs: 0.250 0.109 0.859
Cs: 0.250 0.609 0.359
Cs: 0.255 0.245 0.250
Cs: 0.391 0.250 0.641
Cs: 0.495 0.005 0.250
Cs: 0.505 0.995 0.750
Cs: 0.609 0.750 0.359
Cs: 0.745 0.755 0.750
Cs: 0.750 0.391 0.641
Cs: 0.750 0.891 0.141
Cs: 0.755 0.505 0.011
Cs: 0.891 0.250 0.141
Cs: 0.995 0.745 0.489
Ge: 0.019 0.730 0.096
Ge: 0.077 0.981 0.210
Ge: 0.133 0.923 0.404
Ge: 0.230 0.519 0.596
Ge: 0.270 0.867 0.290
Ge: 0.367 0.770 0.790
Ge: 0.423 0.633 0.904
Ge: 0.481 0.577 0.710
Ge: 0.519 0.423 0.290
Ge: 0.577 0.367 0.096
Ge: 0.633 0.230 0.210
Ge: 0.730 0.133 0.710
Ge: 0.770 0.481 0.404
Ge: 0.867 0.077 0.596
Ge: 0.923 0.019 0.790
Ge: 0.981 0.270 0.904

No. 2
Computed, not measured: a relaxed CsGe crystal at the GGA-PBE level of DFT.

Summary:
Calculated formation energy, eV/atom: -0.0718
Polymorph energy (0 for the lowest one), meV/atom: 140

Cell: 7.679 7.679 4.127 Å, 90.00 90.00 135.90°
Fractional coordinates of all 4 atoms:
Cs: 0.148 0.852 0.750
Cs: 0.852 0.148 0.250
Ge: 0.448 0.552 0.750
Ge: 0.552 0.448 0.250

- Which value of calculated formation energy does entry 1 give?
  -0.1920 eV/atom


# CaMnP4O12 meta-GGA r2SCAN relaxed
data_CaMnP4O12
_cell_length_a 7.555
_cell_length_b 7.555
_cell_length_c 10.123
_cell_angle_alpha 66.61
_cell_angle_beta 66.61
_cell_angle_gamma 70.72
_space_group_name_H-M_alt 'P 1'
_space_group_IT_number 1
loop_
_space_group_symop_operation_xyz
'x,y,z'
loop_
_atom_site_label
_atom_site_fract_x
_atom_site_fract_y
_atom_site_fract_z
O1 0.132 0.290 0.676
O2 0.740 0.510 0.945
O3 0.702 0.465 0.332
O4 0.900 0.183 0.081
O5 0.794 0.307 0.574
O6 0.693 0.206 0.926
O7 0.490 0.260 0.555
O8 0.260 0.490 0.055
O9 0.817 0.100 0.419
O10 0.192 0.355 0.340
O11 0.465 0.702 0.832
O12 0.183 0.900 0.581
O13 0.808 0.645 0.660
O14 0.290 0.132 0.176
O15 0.868 0.710 0.324
O16 0.298 0.535 0.668
O17 0.307 0.794 0.074
O18 0.535 0.298 0.168
O19 0.100 0.817 0.919
O20 0.710 0.868 0.824
O21 0.645 0.808 0.160
O22 0.510 0.740 0.445
O23 0.206 0.693 0.426
O24 0.355 0.192 0.840
P1 0.692 0.688 0.804
P2 0.271 0.716 0.974
P3 0.716 0.271 0.474
P4 0.688 0.692 0.304
P5 0.308 0.312 0.196
P6 0.312 0.308 0.696
P7 0.284 0.729 0.526
P8 0.729 0.284 0.026
Ca1 0.046 0.954 0.250
Ca2 0.954 0.046 0.750
Mn1 0.000 0.500 0.500
Mn2 0.500 0.000 0.000
# Total moment, μB per cell: 10.00
# Calculated volume, Å³/cell: 476
# E_form, meV/atom: -2554
# Uncorrected energy, eV/cell: -350.73


1.
Li9Mn2Co5O16: relaxed, PBE with a Hubbard U.

Calculated values
For the volume, the calculation gives 9.0 A^3/atom. The space-group type is P2/m. The value obtained for the energy with MP2020 corrections is -6.515 eV/atom.

```
Li9Mn2Co5O16
1.0
5.8931 0.0000 0.0000
0.0000 5.8097 0.0000
-0.0382 0.0000 8.4560
Li Mn Co O
9 2 5 16
direct
0.0000 0.0000 0.0000
0.0000 0.0000 0.5000
0.0000 0.5000 0.0000
0.2487 0.2461 0.2590
0.2487 0.7539 0.2590
0.5000 0.0000 0.5000
0.5000 0.5000 0.5000
0.7513 0.2461 0.7410
0.7513 0.7539 0.7410
0.0000 0.5000 0.5000
0.5000 0.0000 0.0000
0.2455 0.2455 0.7397
0.2455 0.7545 0.7397
0.5000 0.5000 0.0000
0.7545 0.2455 0.2603
0.7545 0.7545 0.2603
0.0005 0.5000 0.7291
0.0271 0.0000 0.7569
0.2364 0.2629 0.5059
0.2364 0.7371 0.5059
0.2727 0.2433 0.0011
0.2727 0.7567 0.0011
0.4715 0.5000 0.7567
0.4940 0.0000 0.7678
0.5060 0.0000 0.2322
0.5285 0.5000 0.2433
0.7273 0.2433 0.9989
0.7273 0.7567 0.9989
0.7636 0.2629 0.4941
0.7636 0.7371 0.4941
0.9729 0.0000 0.2431
0.9995 0.5000 0.2709
```

***

2.
DyFeH8C6N6O4: relaxed, PBE with a Hubbard U.

Calculated values
For the volume, the calculation gives 12.5 A^3/atom. The space-group type is Cmcm. The value obtained for the energy with MP2020 corrections is -6.885 eV/atom.

```
DyFeH8C6N6O4
1.0
____________

(Job)
What is needed: transcribe the lines above up to the one that holds "O14 0.290", that line included.

(Solution)
No. 1
Computed, not measured: a relaxed CsGe crystal at the GGA-PBE level of DFT.

Summary:
Calculated formation energy, eV/atom: -0.1920
Polymorph energy (0 for the lowest one), meV/atom: 20

Cell: 12.624 12.624 12.624 Å, 124.67 124.67 82.09°
Fractional coordinates of all 32 atoms:
Cs: 0.005 0.255 0.511
Cs: 0.109 0.750 0.859
Cs: 0.245 0.495 0.989
Cs: 0.250 0.109 0.859
Cs: 0.250 0.609 0.359
Cs: 0.255 0.245 0.250
Cs: 0.391 0.250 0.641
Cs: 0.495 0.005 0.250
Cs: 0.505 0.995 0.750
Cs: 0.609 0.750 0.359
Cs: 0.745 0.755 0.750
Cs: 0.750 0.391 0.641
Cs: 0.750 0.891 0.141
Cs: 0.755 0.505 0.011
Cs: 0.891 0.250 0.141
Cs: 0.995 0.745 0.489
Ge: 0.019 0.730 0.096
Ge: 0.077 0.981 0.210
Ge: 0.133 0.923 0.404
Ge: 0.230 0.519 0.596
Ge: 0.270 0.867 0.290
Ge: 0.367 0.770 0.790
Ge: 0.423 0.633 0.904
Ge: 0.481 0.577 0.710
Ge: 0.519 0.423 0.290
Ge: 0.577 0.367 0.096
Ge: 0.633 0.230 0.210
Ge: 0.730 0.133 0.710
Ge: 0.770 0.481 0.404
Ge: 0.867 0.077 0.596
Ge: 0.923 0.019 0.790
Ge: 0.981 0.270 0.904

No. 2
Computed, not measured: a relaxed CsGe crystal at the GGA-PBE level of DFT.

Summary:
Calculated formation energy, eV/atom: -0.0718
Polymorph energy (0 for the lowest one), meV/atom: 140

Cell: 7.679 7.679 4.127 Å, 90.00 90.00 135.90°
Fractional coordinates of all 4 atoms:
Cs: 0.148 0.852 0.750
Cs: 0.852 0.148 0.250
Ge: 0.448 0.552 0.750
Ge: 0.552 0.448 0.250

- Which value of calculated formation energy does entry 1 give?
  -0.1920 eV/atom


# CaMnP4O12 meta-GGA r2SCAN relaxed
data_CaMnP4O12
_cell_length_a 7.555
_cell_length_b 7.555
_cell_length_c 10.123
_cell_angle_alpha 66.61
_cell_angle_beta 66.61
_cell_angle_gamma 70.72
_space_group_name_H-M_alt 'P 1'
_space_group_IT_number 1
loop_
_space_group_symop_operation_xyz
'x,y,z'
loop_
_atom_site_label
_atom_site_fract_x
_atom_site_fract_y
_atom_site_fract_z
O1 0.132 0.290 0.676
O2 0.740 0.510 0.945
O3 0.702 0.465 0.332
O4 0.900 0.183 0.081
O5 0.794 0.307 0.574
O6 0.693 0.206 0.926
O7 0.490 0.260 0.555
O8 0.260 0.490 0.055
O9 0.817 0.100 0.419
O10 0.192 0.355 0.340
O11 0.465 0.702 0.832
O12 0.183 0.900 0.581
O13 0.808 0.645 0.660
O14 0.290 0.132 0.176